_Assignment_
Transcribe the listing further below from the first line to the one with "0.5518 0.5850" character by character.
_Data_
____________
Record 1
# Zn2Cr3O8, relaxed, DFT PBE with a Hubbard U
data_Zn2Cr3O8
_chemical_formula_sum 'Zn4 Cr6 O16'
_cell_length_a 10.3524
_cell_length_b 5.8713
_cell_length_c 4.9732
_cell_angle_alpha 90.00
_cell_angle_beta 111.70
_cell_angle_gamma 90.00
_space_group_name_H-M_alt 'C 1 2/m 1'
_space_group_IT_number 12
loop_
_space_group_symop_operation_xyz
'x,y,z'
'-x,-y,-z'
'-x,y,-z'
'x,-y,z'
'x+1/2,y+1/2,z'
'-x+1/2,-y+1/2,-z'
'-x+1/2,y+1/2,-z'
'x+1/2,-y+1/2,z'
loop_
_atom_site_label
_atom_site_type_symbol
_atom_site_fract_x
_atom_site_fract_y
_atom_site_fract_z
Zn1 Zn 0.2169 0.0000 0.1581
Cr1 Cr 0.0000 0.2402 0.5000
Cr2 Cr 0.0000 0.5000 0.0000
O1 O 0.1041 0.0000 0.4250
O2 O 0.1083 0.5000 0.4249
O3 O 0.1128 0.2735 0.9101
# ρ in g cm⁻³: 4.90
# Formation energy in eV per atom: -1.868
# Final energy in eV for the cell shown: -167.71

---

Record 2
# Li12Cr3NiP4C4O28, relaxed, DFT PBE with a Hubbard U
data_Li12Cr3NiP4C4O28
_chemical_formula_sum 'Li12 Cr3 Ni1 P4 C4 O28'
_cell_length_a 8.6186
_cell_length_b 6.4626
_cell_length_c 9.9952
_cell_angle_alpha 90.00
_cell_angle_beta 94.59
_cell_angle_gamma 90.00
_space_group_name_H-M_alt 'P 1 m 1'
_space_group_IT_number 6
loop_
_space_group_symop_operation_xyz
'x,y,z'
'x,-y,z'
loop_
_atom_site_label
_atom_site_type_symbol
_atom_site_fract_x
_atom_site_fract_y
_atom_site_fract_z
Li1 Li 0.0000 0.0000 0.0000
Li2 Li 0.0013 0.0000 0.5010
Li3 Li 0.1688 0.2273 0.7554
Li4 Li 0.1697 0.2250 0.2599
Li5 Li 0.6232 0.2711 0.5127
Li6 Li 0.6230 0.2728 0.0133
Li7 Li 0.7902 0.5000 0.7669
Li8 Li 0.7995 0.5000 0.2718
Cr1 Cr 0.2286 0.5000 0.9906
Cr2 Cr 0.5604 0.0000 0.7774
Cr3 Cr 0.5620 0.0000 0.2814
Ni1 Ni 0.2294 0.5000 0.4859
P1 P 0.3074 0.0000 0.0244
P2 P 0.3065 0.0000 0.5238
P3 P 0.4793 0.5000 0.7421
P4 P 0.4846 0.5000 0.2484
C1 C 0.8644 0.0000 0.2367
C2 C 0.8640 0.0000 0.7365
C3 C 0.9260 0.5000 0.0324
C4 C 0.9395 0.5000 0.5345
O1 O 0.0050 0.0000 0.1983
O2 O 0.0054 0.0000 0.6996
O3 O 0.0448 0.5000 0.1232
O4 O 0.0553 0.5000 0.6273
O5 O 0.2076 0.1866 0.9680
O6 O 0.2079 0.1878 0.4676
O7 O 0.3165 0.0000 0.1800
O8 O 0.3156 0.0000 0.6797
O9 O 0.3174 0.5000 0.2952
O10 O 0.3171 0.5000 0.7961
O11 O 0.4598 0.5000 0.5854
O12 O 0.4744 0.0000 0.9774
O13 O 0.4745 0.0000 0.4785
O14 O 0.4751 0.5000 0.0928
O15 O 0.5828 0.3140 0.7942
O16 O 0.5849 0.3134 0.3044
O17 O 0.7451 0.0000 0.1463
O18 O 0.7464 0.0000 0.6445
O19 O 0.7853 0.5000 0.0713
O20 O 0.7960 0.5000 0.5664
O21 O 0.8361 0.0000 0.8610
O22 O 0.8387 0.0000 0.3618
O23 O 0.9514 0.5000 0.9075
O24 O 0.9737 0.5000 0.4105
# ρ in g cm⁻³: 2.75
# Formation energy in eV per atom: -2.363
# Final energy in eV for the cell shown: -349.85

---

Record 3
# Li3V3P8O29, relaxed, DFT PBE with a Hubbard U
data_Li3V3P8O29
_chemical_formula_sum 'Li6 V6 P16 O58'
_cell_length_a 9.7535
_cell_length_b 9.7549
_cell_length_c 14.3728
_cell_angle_alpha 89.38
_cell_angle_beta 89.78
_cell_angle_gamma 60.13
_space_group_name_H-M_alt 'P 1'
_space_group_IT_number 1
loop_
_space_group_symop_operation_xyz
'x,y,z'
loop_
_atom_site_label
_atom_site_type_symbol
_atom_site_fract_x
_atom_site_fract_y
_atom_site_fract_z
Li1 Li 0.0000 0.0000 0.0000
Li2 Li 0.0021 0.1371 0.5035
Li3 Li 0.2414 0.2109 0.3841
Li4 Li 0.3398 0.9499 0.9443
Li5 Li 0.4030 0.6048 0.5045
Li6 Li 0.5518 0.5850 0.0002
V1 V 0.3160 0.4735 0.6988
V2 V 0.3287 0.3386 0.1858
V3 V 0.7528 0.4763 0.1953
V4 V 0.7537 0.9084 0.6909
V5 V 0.8819 0.9080 0.1952
V6 V 0.8879 0.3458 0.6983
P1 P 0.9997 0.1370 0.2860
P2 P 0.0078 0.9926 0.7873
P3 P 0.0963 0.2168 0.1065
P4 P 0.0966 0.8225 0.6077
P5 P 0.2296 0.2291 0.5996
P6 P 0.2348 0.6888 0.1088
P7 P 0.4057 0.1256 0.7788
P8 P 0.4086 0.5866 0.2878
P9 P 0.5462 0.5953 0.7867
P10 P 0.5457 0.9922 0.2860
P11 P 0.6240 0.8271 0.1027
P12 P 0.6339 0.6839 0.6070
P13 P 0.6539 0.2468 0.5773
P14 P 0.6590 0.2434 0.0743
P15 P 0.9841 0.5782 0.8113
P16 P 0.9941 0.5676 0.3088
O1 O 0.0604 0.2506 0.6072
O2 O 0.0611 0.8267 0.1057
O3 O 0.0706 0.1470 0.3759
O4 O 0.0858 0.9305 0.8789
O5 O 0.0941 0.9186 0.5264
O6 O 0.1152 0.1109 0.0278
____________
_Worked solution_
Record 1
# Zn2Cr3O8, relaxed, DFT PBE with a Hubbard U
data_Zn2Cr3O8
_chemical_formula_sum 'Zn4 Cr6 O16'
_cell_length_a 10.3524
_cell_length_b 5.8713
_cell_length_c 4.9732
_cell_angle_alpha 90.00
_cell_angle_beta 111.70
_cell_angle_gamma 90.00
_space_group_name_H-M_alt 'C 1 2/m 1'
_space_group_IT_number 12
loop_
_space_group_symop_operation_xyz
'x,y,z'
'-x,-y,-z'
'-x,y,-z'
'x,-y,z'
'x+1/2,y+1/2,z'
'-x+1/2,-y+1/2,-z'
'-x+1/2,y+1/2,-z'
'x+1/2,-y+1/2,z'
loop_
_atom_site_label
_atom_site_type_symbol
_atom_site_fract_x
_atom_site_fract_y
_atom_site_fract_z
Zn1 Zn 0.2169 0.0000 0.1581
Cr1 Cr 0.0000 0.2402 0.5000
Cr2 Cr 0.0000 0.5000 0.0000
O1 O 0.1041 0.0000 0.4250
O2 O 0.1083 0.5000 0.4249
O3 O 0.1128 0.2735 0.9101
# ρ in g cm⁻³: 4.90
# Formation energy in eV per atom: -1.868
# Final energy in eV for the cell shown: -167.71

---

Record 2
# Li12Cr3NiP4C4O28, relaxed, DFT PBE with a Hubbard U
data_Li12Cr3NiP4C4O28
_chemical_formula_sum 'Li12 Cr3 Ni1 P4 C4 O28'
_cell_length_a 8.6186
_cell_length_b 6.4626
_cell_length_c 9.9952
_cell_angle_alpha 90.00
_cell_angle_beta 94.59
_cell_angle_gamma 90.00
_space_group_name_H-M_alt 'P 1 m 1'
_space_group_IT_number 6
loop_
_space_group_symop_operation_xyz
'x,y,z'
'x,-y,z'
loop_
_atom_site_label
_atom_site_type_symbol
_atom_site_fract_x
_atom_site_fract_y
_atom_site_fract_z
Li1 Li 0.0000 0.0000 0.0000
Li2 Li 0.0013 0.0000 0.5010
Li3 Li 0.1688 0.2273 0.7554
Li4 Li 0.1697 0.2250 0.2599
Li5 Li 0.6232 0.2711 0.5127
Li6 Li 0.6230 0.2728 0.0133
Li7 Li 0.7902 0.5000 0.7669
Li8 Li 0.7995 0.5000 0.2718
Cr1 Cr 0.2286 0.5000 0.9906
Cr2 Cr 0.5604 0.0000 0.7774
Cr3 Cr 0.5620 0.0000 0.2814
Ni1 Ni 0.2294 0.5000 0.4859
P1 P 0.3074 0.0000 0.0244
P2 P 0.3065 0.0000 0.5238
P3 P 0.4793 0.5000 0.7421
P4 P 0.4846 0.5000 0.2484
C1 C 0.8644 0.0000 0.2367
C2 C 0.8640 0.0000 0.7365
C3 C 0.9260 0.5000 0.0324
C4 C 0.9395 0.5000 0.5345
O1 O 0.0050 0.0000 0.1983
O2 O 0.0054 0.0000 0.6996
O3 O 0.0448 0.5000 0.1232
O4 O 0.0553 0.5000 0.6273
O5 O 0.2076 0.1866 0.9680
O6 O 0.2079 0.1878 0.4676
O7 O 0.3165 0.0000 0.1800
O8 O 0.3156 0.0000 0.6797
O9 O 0.3174 0.5000 0.2952
O10 O 0.3171 0.5000 0.7961
O11 O 0.4598 0.5000 0.5854
O12 O 0.4744 0.0000 0.9774
O13 O 0.4745 0.0000 0.4785
O14 O 0.4751 0.5000 0.0928
O15 O 0.5828 0.3140 0.7942
O16 O 0.5849 0.3134 0.3044
O17 O 0.7451 0.0000 0.1463
O18 O 0.7464 0.0000 0.6445
O19 O 0.7853 0.5000 0.0713
O20 O 0.7960 0.5000 0.5664
O21 O 0.8361 0.0000 0.8610
O22 O 0.8387 0.0000 0.3618
O23 O 0.9514 0.5000 0.9075
O24 O 0.9737 0.5000 0.4105
# ρ in g cm⁻³: 2.75
# Formation energy in eV per atom: -2.363
# Final energy in eV for the cell shown: -349.85

---

Record 3
# Li3V3P8O29, relaxed, DFT PBE with a Hubbard U
data_Li3V3P8O29
_chemical_formula_sum 'Li6 V6 P16 O58'
_cell_length_a 9.7535
_cell_length_b 9.7549
_cell_length_c 14.3728
_cell_angle_alpha 89.38
_cell_angle_beta 89.78
_cell_angle_gamma 60.13
_space_group_name_H-M_alt 'P 1'
_space_group_IT_number 1
loop_
_space_group_symop_operation_xyz
'x,y,z'
loop_
_atom_site_label
_atom_site_type_symbol
_atom_site_fract_x
_atom_site_fract_y
_atom_site_fract_z
Li1 Li 0.0000 0.0000 0.0000
Li2 Li 0.0021 0.1371 0.5035
Li3 Li 0.2414 0.2109 0.3841
Li4 Li 0.3398 0.9499 0.9443
Li5 Li 0.4030 0.6048 0.5045
Li6 Li 0.5518 0.5850 0.0002